Brief =
Set down all of the data further below with every line break kept.

Entries =
........
No. 1
Compound: SrCa2N2
Source: the Materials Project
Functional: PBE
Structure: relaxed

abc: 3.4933 3.7741 14.4590
angles: 90.00 90.00 90.00
With the nearest neighbours (Å) after each atom.
Element x y z (fractional)
Sr (0.5364, 0.2500, 0.2500)  2 N 2.46
Sr (0.4636, 0.7500, 0.7500)  2 N 2.46
Ca (0.2362, 0.2500, 0.9317)  3 N 2.45-2.46
Ca (0.2362, 0.2500, 0.5683)  3 N 2.45-2.46
Ca (0.7638, 0.7500, 0.0683)  3 N 2.45-2.46
Ca (0.7638, 0.7500, 0.4317)  3 N 2.45-2.46
N (0.1920, 0.2500, 0.3988)  3 Ca 2.45-2.46, 1 Sr 2.46
N (0.1920, 0.2500, 0.1012)  3 Ca 2.45-2.46, 1 Sr 2.46
N (0.8080, 0.7500, 0.6012)  3 Ca 2.45-2.46, 1 Sr 2.46
N (0.8080, 0.7500, 0.8988)  3 Ca 2.45-2.46, 1 Sr 2.46

DFT formation energy in kJ/mol of formula units: -303
E in eV per atom: -4.96

***

No. 2
Compound: Mg14CuSi
Source: the Materials Project
Functional: PBE
Structure: relaxed

abc: 6.1759 6.1759 10.1879
angles: 90.00 90.00 119.48
With the nearest neighbours (Å) after each atom.
Element x y z (fractional)
Mg (0.6647, 0.3353, 0.5000)  12 Mg 3.06-3.26
Mg (0.1652, 0.8348, 0.5000)  12 Mg 3.07-3.26
Mg (0.6595, 0.8404, 0.0000)  2 Si 2.99-3.19, 2 Cu 3.02-3.16, 8 Mg 3.02-3.11
Mg (0.6675, 0.8319, 0.5000)  12 Mg 3.06-3.29
Mg (0.1596, 0.3405, 0.0000)  2 Si 2.99-3.19, 2 Cu 3.02-3.16, 8 Mg 3.02-3.11
Mg (0.1681, 0.3325, 0.5000)  12 Mg 3.06-3.29
Mg (0.8363, 0.6616, 0.2308)  1 Cu 2.94, 1 Si 2.96, 10 Mg 3.02-3.29
Mg (0.8363, 0.6616, 0.7692)  1 Cu 2.94, 1 Si 2.96, 10 Mg 3.02-3.29
Mg (0.3384, 0.1637, 0.2308)  1 Cu 2.94, 1 Si 2.96, 10 Mg 3.02-3.29
Mg (0.3384, 0.1637, 0.7692)  1 Cu 2.94, 1 Si 2.96, 10 Mg 3.02-3.29
Mg (0.8318, 0.1682, 0.2460)  11 Mg 3.04-3.16, 1 Cu 3.06
Mg (0.8318, 0.1682, 0.7540)  11 Mg 3.04-3.16, 1 Cu 3.06
Mg (0.3323, 0.6677, 0.2477)  11 Mg 3.05-3.14, 1 Si 3.06
Mg (0.3323, 0.6677, 0.7523)  11 Mg 3.05-3.14, 1 Si 3.06
Cu (0.6675, 0.3325, 0.0000)  10 Mg 2.94-3.16, 2 Si 3.11
Si (0.1702, 0.8298, 0.0000)  10 Mg 2.96-3.19, 2 Cu 3.11

DFT formation energy in kJ/mol of formula units: 54
E in eV per atom: -1.97

***

No. 3
Compound: Cs2KScI6
Source: the Materials Project
Functional: PBE
Structure: relaxed

abc: 8.9008 8.9008 8.9008
angles: 60.00 60.00 60.00
With the nearest neighbours (Å) after each atom.
Element x y z (fractional)
Cs (0.7500, 0.7500, 0.7500)  12 I 4.46
Cs (0.2500, 0.2500, 0.2500)  12 I 4.46
K (0.5000, 0.5000, 0.5000)  6 I 3.40
Sc (0.0000, 0.0000, 0.0000)  6 I 2.90
I (0.7700, 0.2300, 0.2300)  1 Sc 2.90
I (0.2300, 0.2300, 0.7700)  1 Sc 2.90
I (0.2300, 0.7700, 0.7700)  1 Sc 2.90
I (0.2300, 0.7700, 0.2300)  1 Sc 2.90
I (0.7700, 0.2300, 0.7700)  1 Sc 2.90
I (0.7700, 0.7700, 0.2300)  1 Sc 2.90

DFT formation energy in kJ/mol of formula units: -1587
E in eV per atom: -3.25

***

No. 4
Compound: LiBIr
Source: the Materials Project
Functional: PBE
Structure: relaxed

abc: 6.9955 6.1010 5.5559
angles: 73.59 56.78 49.63
With the nearest neighbours (Å) after each atom.
Element x y z (fractional)
Li (0.1250, 0.6250, 0.6250)  2 B 2.39, 2 Ir 2.59
Li (0.6250, 0.6250, 0.6250)  2 B 2.39, 2 Ir 2.59
Li (0.6250, 0.6250, 0.1250)  2 B 2.39, 2 Ir 2.59
Li (0.6250, 0.1250, 0.6250)  2 B 2.39, 2 Ir 2.59
B (0.4263, 0.0737, 0.4263)  4 Ir 2.09-2.15
B (0.1763, 0.8237, 0.1763)  4 Ir 2.09-2.15
B (0.0737, 0.4263, 0.0737)  4 Ir 2.09-2.15
B (0.8237, 0.1763, 0.8237)  4 Ir 2.09-2.15
Ir (0.3831, 0.3831, 0.1169)  4 B 2.09-2.15
Ir (0.8669, 0.8669, 0.1331)  4 B 2.09-2.15
Ir (0.1331, 0.1331, 0.8669)  4 B 2.09-2.15
Ir (0.1169, 0.1169, 0.3831)  4 B 2.09-2.15

DFT formation energy in kJ/mol of formula units: -149
E in eV per atom: -6.32
........

Worked solution =
No. 1
Compound: SrCa2N2
Source: the Materials Project
Functional: PBE
Structure: relaxed

abc: 3.4933 3.7741 14.4590
angles: 90.00 90.00 90.00
With the nearest neighbours (Å) after each atom.
Element x y z (fractional)
Sr (0.5364, 0.2500, 0.2500)  2 N 2.46
Sr (0.4636, 0.7500, 0.7500)  2 N 2.46
Ca (0.2362, 0.2500, 0.9317)  3 N 2.45-2.46
Ca (0.2362, 0.2500, 0.5683)  3 N 2.45-2.46
Ca (0.7638, 0.7500, 0.0683)  3 N 2.45-2.46
Ca (0.7638, 0.7500, 0.4317)  3 N 2.45-2.46
N (0.1920, 0.2500, 0.3988)  3 Ca 2.45-2.46, 1 Sr 2.46
N (0.1920, 0.2500, 0.1012)  3 Ca 2.45-2.46, 1 Sr 2.46
N (0.8080, 0.7500, 0.6012)  3 Ca 2.45-2.46, 1 Sr 2.46
N (0.8080, 0.7500, 0.8988)  3 Ca 2.45-2.46, 1 Sr 2.46

DFT formation energy in kJ/mol of formula units: -303
E in eV per atom: -4.96

***

No. 2
Compound: Mg14CuSi
Source: the Materials Project
Functional: PBE
Structure: relaxed

abc: 6.1759 6.1759 10.1879
angles: 90.00 90.00 119.48
With the nearest neighbours (Å) after each atom.
Element x y z (fractional)
Mg (0.6647, 0.3353, 0.5000)  12 Mg 3.06-3.26
Mg (0.1652, 0.8348, 0.5000)  12 Mg 3.07-3.26
Mg (0.6595, 0.8404, 0.0000)  2 Si 2.99-3.19, 2 Cu 3.02-3.16, 8 Mg 3.02-3.11
Mg (0.6675, 0.8319, 0.5000)  12 Mg 3.06-3.29
Mg (0.1596, 0.3405, 0.0000)  2 Si 2.99-3.19, 2 Cu 3.02-3.16, 8 Mg 3.02-3.11
Mg (0.1681, 0.3325, 0.5000)  12 Mg 3.06-3.29
Mg (0.8363, 0.6616, 0.2308)  1 Cu 2.94, 1 Si 2.96, 10 Mg 3.02-3.29
Mg (0.8363, 0.6616, 0.7692)  1 Cu 2.94, 1 Si 2.96, 10 Mg 3.02-3.29
Mg (0.3384, 0.1637, 0.2308)  1 Cu 2.94, 1 Si 2.96, 10 Mg 3.02-3.29
Mg (0.3384, 0.1637, 0.7692)  1 Cu 2.94, 1 Si 2.96, 10 Mg 3.02-3.29
Mg (0.8318, 0.1682, 0.2460)  11 Mg 3.04-3.16, 1 Cu 3.06
Mg (0.8318, 0.1682, 0.7540)  11 Mg 3.04-3.16, 1 Cu 3.06
Mg (0.3323, 0.6677, 0.2477)  11 Mg 3.05-3.14, 1 Si 3.06
Mg (0.3323, 0.6677, 0.7523)  11 Mg 3.05-3.14, 1 Si 3.06
Cu (0.6675, 0.3325, 0.0000)  10 Mg 2.94-3.16, 2 Si 3.11
Si (0.1702, 0.8298, 0.0000)  10 Mg 2.96-3.19, 2 Cu 3.11

DFT formation energy in kJ/mol of formula units: 54
E in eV per atom: -1.97

***

No. 3
Compound: Cs2KScI6
Source: the Materials Project
Functional: PBE
Structure: relaxed

abc: 8.9008 8.9008 8.9008
angles: 60.00 60.00 60.00
With the nearest neighbours (Å) after each atom.
Element x y z (fractional)
Cs (0.7500, 0.7500, 0.7500)  12 I 4.46
Cs (0.2500, 0.2500, 0.2500)  12 I 4.46
K (0.5000, 0.5000, 0.5000)  6 I 3.40
Sc (0.0000, 0.0000, 0.0000)  6 I 2.90
I (0.7700, 0.2300, 0.2300)  1 Sc 2.90
I (0.2300, 0.2300, 0.7700)  1 Sc 2.90
I (0.2300, 0.7700, 0.7700)  1 Sc 2.90
I (0.2300, 0.7700, 0.2300)  1 Sc 2.90
I (0.7700, 0.2300, 0.7700)  1 Sc 2.90
I (0.7700, 0.7700, 0.2300)  1 Sc 2.90

DFT formation energy in kJ/mol of formula units: -1587
E in eV per atom: -3.25

***

No. 4
Compound: LiBIr
Source: the Materials Project
Functional: PBE
Structure: relaxed

abc: 6.9955 6.1010 5.5559
angles: 73.59 56.78 49.63
With the nearest neighbours (Å) after each atom.
Element x y z (fractional)
Li (0.1250, 0.6250, 0.6250)  2 B 2.39, 2 Ir 2.59
Li (0.6250, 0.6250, 0.6250)  2 B 2.39, 2 Ir 2.59
Li (0.6250, 0.6250, 0.1250)  2 B 2.39, 2 Ir 2.59
Li (0.6250, 0.1250, 0.6250)  2 B 2.39, 2 Ir 2.59
B (0.4263, 0.0737, 0.4263)  4 Ir 2.09-2.15
B (0.1763, 0.8237, 0.1763)  4 Ir 2.09-2.15
B (0.0737, 0.4263, 0.0737)  4 Ir 2.09-2.15
B (0.8237, 0.1763, 0.8237)  4 Ir 2.09-2.15
Ir (0.3831, 0.3831, 0.1169)  4 B 2.09-2.15
Ir (0.8669, 0.8669, 0.1331)  4 B 2.09-2.15
Ir (0.1331, 0.1331, 0.8669)  4 B 2.09-2.15
Ir (0.1169, 0.1169, 0.3831)  4 B 2.09-2.15

DFT formation energy in kJ/mol of formula units: -149
E in eV per atom: -6.32